Thursday, November 14, 2013

[Data records that have nothing to do with the text]
+++
No. 1
Structure and computed powder XRD pattern of Fe3Mo6PtN2 (the GGA-PBE geometry in Alexandria; Cu Kα X-rays).
Intensities are scaled so that the largest is 100.

Peak list (8 most intense, 10 to 90 degrees two-theta, in order of rising 2θ)
h k l	2theta	I_rel
2 2 -1	39.95	85
1 2 2	40.10	100
1 0 -3	42.21	43
3 0 1	42.33	62
1 1 -3	44.36	20
1 3 -1	44.47	23
4 3 -1	71.06	14
5 2 0	75.87	14

Crystal structure
```
data_Fe3Mo6PtN2
_chemical_formula_sum 'Fe6 Mo12 Pt2 N4'
_cell_length_a 6.754
_cell_length_b 6.755
_cell_length_c 6.767
_cell_angle_alpha 90.00
_cell_angle_beta 90.38
_cell_angle_gamma 90.00
_symmetry_space_group_name_H-M 'P 1'
_symmetry_Int_Tables_number 1
loop_
_symmetry_equiv_pos_as_xyz
'x,y,z'
loop_
_atom_site_label
_atom_site_type_symbol
_atom_site_fract_x
_atom_site_fract_y
_atom_site_fract_z
Fe1 Fe 0.065 0.000 0.328
Fe2 Fe 0.180 0.249 0.566
Fe3 Fe 0.421 0.141 0.806
Fe4 Fe 0.579 0.641 0.194
Fe5 Fe 0.820 0.749 0.434
Fe6 Fe 0.935 0.500 0.672
Mo1 Mo 0.051 0.191 0.953
Mo2 Mo 0.117 0.860 0.698
Mo3 Mo 0.205 0.617 0.375
Mo4 Mo 0.291 0.516 0.868
Mo5 Mo 0.373 0.273 0.202
Mo6 Mo 0.451 0.946 0.459
Mo7 Mo 0.549 0.446 0.541
Mo8 Mo 0.627 0.773 0.798
Mo9 Mo 0.709 0.016 0.132
Mo10 Mo 0.795 0.117 0.625
Mo11 Mo 0.883 0.360 0.302
Mo12 Mo 0.949 0.691 0.047
Pt1 Pt 0.316 0.884 0.065
Pt2 Pt 0.684 0.384 0.935
N1 N 0.126 0.444 0.122
N2 N 0.373 0.695 0.627
N3 N 0.627 0.195 0.373
N4 N 0.874 0.944 0.878
```



No. 2
Structure and computed powder XRD pattern of Y4GaPt3 (the GGA-PBE geometry in Alexandria; Cu Kα X-rays).
Intensities are scaled so that the largest is 100.

Peak list (8 most intense, 10 to 90 degrees two-theta, in order of rising 2θ)
h k l	2theta	I_rel
0 0 2	16.45	25
1 0 1	24.83	29
1 1 1	32.04	100
0 0 4	33.26	26
0 1 4	39.08	37
1 1 3	40.03	97
0 2 0	40.51	36
1 3 3	73.39	24

Crystal structure
```
data_Y4GaPt3
_chemical_formula_sum 'Y4 Ga1 Pt3'
_cell_length_a 3.802
_cell_length_b 4.454
_cell_length_c 10.775
_cell_angle_alpha 90.00
_cell_angle_beta 90.00
_cell_angle_gamma 90.00
_symmetry_space_group_name_H-M 'P 1'
_symmetry_Int_Tables_number 1
loop_
_symmetry_equiv_pos_as_xyz
'x,y,z'
loop_
_atom_site_label
_atom_site_type_symbol
_atom_site_fract_x
_atom_site_fract_y
_atom_site_fract_z
Y1 Y 0.000 0.000 0.000
Y2 Y 0.000 0.500 0.272
Y3 Y 0.500 0.000 0.486
Y4 Y 0.500 0.500 0.775
Ga1 Ga 0.000 0.000 0.710
Pt1 Pt 0.000 0.500 0.556
Pt2 Pt 0.500 0.000 0.220
Pt3 Pt 0.500 0.500 0.046
```

* * * * *

Theoretical powder diffractogram
Compound: Bi8Rh8O27
Radiation: Cu Kα, 1.54184 Å
Structure: a cell relaxed with PBE

Main lines, by angle (2θ from 10° to 90°):
- 14.85°, I = 9.6
- 29.95°, I = 100.0
- 34.72°, I = 36.3
- 37.95°, I = 7.6
- 49.92°, I = 45.0
- 59.31°, I = 43.5
- 62.24°, I = 10.7
- 73.28°, I = 6.7
- 81.13°, I = 17.9
- 83.70°, I = 15.1

Structural model:
Unit cell a=7.3103 b=7.3103 c=35.7748 alpha=90.00 beta=90.00 gamma=120.00
Space group R3m (No. 160, hexagonal axes)
Inequivalent atoms, fractional coordinates:
Bi1 0.0000 0.0000 0.0000 [3 per cell]
+++

Ready-to-Wear Watchdogs: 'Smart' Garments Keep Track of Vital Signs, Hide Oder.

This week's article was about generating garments that we wear on a daily basis to become the new high tech product on the market. Technology companies want to transform basic attire to fit the futuristic mentality many of us carry.

 Companies all over the world are talking about many attributes they can add onto garments that can benefit us all, starting with their youngest customer with baby wear. They want to construct baby sleepwear that sounds an alarm if at any point the child stops breathing. There is a brand new form of "Nano Technology" to create fabric that will resist wrinkles, and will stay drier through out the day. This technology will work though the use of molecular scaled sponges that absorb any body oder or sweat. Another form of advancing fashion is configuring the clothing in a way that it can react and function using wires, heat pressure, and electricity that will help expanding, loosening, tightening, or even making your garment warmer of cooler depending on where the person is weather wise, or how the person is feeling. Also another cool aspect that can be added to the clothing in our closets is that the fibers used to create the clothing will have a reflective quality that will allow you to change the color of the shirt on your body through an electrical signal configured into the fibers. 

Many of these technological fibers that are being invented are already being featured in high performance fabrics used by companies such as Nike. This technology is being put into play as we speak, just last year a company called Philips NV of the Netherlands collaborated with Levi Strauss denim and designed a jacket with a built in MP3 player and a cellphone giving technology a new name.  Also, a researcher from MIT tested out a "smart" space suit that was made up of wearable computers, this same researcher created a "smart" vest which was also made up of conductive fibers that could be used to plug in wearable devices. A start up company called Sensatex Inc. is trying to create a T-shirt for athletes that will monitor heart rate, body temperature along with counting the calories you are burning while wearing the shirt. 

The newest invention that is in the works is the Motorola Inc's. new washing machine where you can "talk" to the machine, giving the machine instructions by the clothes themselves. Depending on how the garment is supposed to be washed, the washer will take direct directions so the fabric will not get ruined. 

Thursday, November 7, 2013

Hmong American New Year's Dress: The Display of Ethnicity

The article that we read was about the Hmong Americans who are refugees from Laos who settled in the United States from China as a result of the Vietnam conflict. It tells the story of how textile and dress have continued to play a traditional role in structuring their social life and marking their cultural significance within the Hmong American community. 
 The Hmong woman have been practicing their way of dress through fashion all of their lives. This way of dress is considered a symbol of what defines the true ethnic background of these woman. The Hmong American's differentiate their different cultures in whatever celebration they are celebrating at the moment. If they are celebrating something American they dress American, and if they are celebrating their Hmong culture they dress in Hmong clothing. As time went on they slowly began to incorporate the American culture into their own style of Hmong dress. 

Calculated crystals, kept here for reference:
=====
(1)
# Cs2UAgO6
Computed XRD peak list, Cu Kα X-rays. Input: a crystal structure in Alexandria, relaxed with GGA-PBE.

Atomic structure:
Lattice parameters (Å, degrees): 6.915 6.915 5.887 115.10 115.10 50.38
Sites, in units of the cell vectors:
Cs 0.250 0.250 0.249
Cs 0.750 0.750 0.751
U 0.000 0.000 0.500
Ag 0.500 0.500 0.000
O 0.173 0.173 0.673
O 0.256 0.744 0.244
O 0.256 0.744 0.756
O 0.744 0.256 0.244
O 0.744 0.256 0.756
O 0.827 0.827 0.327

Peak list (6 most intense, 2θ = 10–90°, by angle)
- 26.8°, d = 3.325 Å, I = 100
- 30.4°, d = 2.943 Å, I = 35
- 32.4°, d = 2.764 Å, I = 20
- 43.5°, d = 2.081 Å, I = 19
- 45.0°, d = 2.015 Å, I = 20
- 51.8°, d = 1.764 Å, I = 33

(2)
# Tb3Al3Ga
Computed XRD peak list, Cu Kα X-rays. Input: a crystal structure in Alexandria, relaxed with GGA-PBE.

Atomic structure:
Lattice parameters (Å, degrees): 3.686 4.465 19.560 90.00 90.00 90.00
Sites, in units of the cell vectors:
Tb 0.000 0.000 0.000
Tb 0.000 0.000 0.387
Tb 0.000 0.500 0.195
Tb 0.500 0.000 0.695
Tb 0.500 0.500 0.500
Tb 0.500 0.500 0.887
Al 0.000 0.000 0.555
Al 0.000 0.000 0.833
Al 0.000 0.500 0.629
Al 0.500 0.000 0.129
Al 0.500 0.500 0.055
Al 0.500 0.500 0.333
Ga 0.000 0.500 0.760
Ga 0.500 0.000 0.260

Peak list (6 most intense, 2θ = 10–90°, by angle)
- 24.2°, d = 3.684 Å, I = 60
- 32.8°, d = 2.730 Å, I = 100
- 33.4°, d = 2.683 Å, I = 60
- 38.0°, d = 2.369 Å, I = 37
- 40.4°, d = 2.233 Å, I = 25
- 53.4°, d = 1.716 Å, I = 32

(3)
# Pm3PrSe4
Computed XRD peak list, Cu Kα X-rays. Input: a crystal structure in Alexandria, relaxed with GGA-PBE.

Atomic structure:
Lattice parameters (Å, degrees): 5.962 5.962 5.962 90.00 90.00 90.00
Sites, in units of the cell vectors:
Pm 0.000 0.000 0.500
Pm 0.000 0.500 0.000
Pm 0.500 0.000 0.000
Pr 0.500 0.500 0.500
Se 0.000 0.000 0.000
Se 0.000 0.500 0.500
Se 0.500 0.000 0.500
Se 0.500 0.500 0.000

Peak list (6 most intense, 2θ = 10–90°, by angle)
- 25.9°, d = 3.442 Å, I = 16
- 30.0°, d = 2.981 Å, I = 100
- 42.9°, d = 2.108 Å, I = 75
- 53.2°, d = 1.721 Å, I = 26
- 70.7°, d = 1.333 Å, I = 34
- 78.6°, d = 1.217 Å, I = 25

(4)
# Dy2ZnSnGe
Computed XRD peak list, Cu Kα X-rays. Input: a crystal structure in Alexandria, relaxed with GGA-PBE.

Atomic structure:
Lattice parameters (Å, degrees): 4.422 7.304 7.582 90.00 90.00 90.00
Sites, in units of the cell vectors:
Dy 0.250 0.006 0.219
Dy 0.250 0.494 0.219
Dy 0.750 0.506 0.781
Dy 0.750 0.994 0.781
Zn 0.250 0.750 0.593
Zn 0.750 0.250 0.407
Sn 0.250 0.250 0.602
Sn 0.750 0.750 0.398
Ge 0.250 0.750 0.920
Ge 0.750 0.250 0.080

Peak list (6 most intense, 2θ = 10–90°, by angle)
- 34.0°, d = 2.640 Å, I = 100
- 34.1°, d = 2.630 Å, I = 36
- 40.8°, d = 2.211 Å, I = 25
- 41.1°, d = 2.194 Å, I = 38
- 54.2°, d = 1.692 Å, I = 20
- 66.6°, d = 1.404 Å, I = 18

(5)
# La2Pm2YHg5
Computed XRD peak list, Cu Kα X-rays. Input: a crystal structure in Alexandria, relaxed with GGA-PBE.

Atomic structure:
Lattice parameters (Å, degrees): 11.136 11.136 4.598 90.00 90.00 90.00
=====
Here the text continues:

There were different dress styles among different regions depending on the subcultures of the Hmong. The way you were able to tell the different styles apart was the use of two different colors, green and white. The white dress consisted of a white pleated skirt with black leggings with a black shirt with blue cuffs and front embroidery. A rectangular collar that was placed on the back of the shirt was decorated with handwork and it included a black apron and also worn with a belt that had silver coins. The green style of dress included a pleated skirt that was a huge visual aspect because of its wide central panel of blue batik work and decorated appliqué and embroidery called the "Paj ntaub" which was their cultural flower cloth that has been practiced and passed on throughout the culture. Just like the white Hmong women they wore dark shirts, but their collars were face down. Both of the groups wore a version of a dark wrapped turban form, which generally featured a black and white striped turban tie. 
The Hmong men wore black shirts with blue cuffs and black flared pants, they had red or pink sashes around their waist. Narrow coined belts and black skullcaps were also apart of their dress. 

The Hmong American New Year's was celebrated in the Laos village, which was a annual family celebration. This was a time that friends and family were able to gather together to tie the bonds of family and community together as a whole. Celebration continued to reassure the new year by various rituals and traditions. The woman would sew throughout the year to prepare new clothing to be worn first at the New Year's celebration. This was a time where men and woman met each other and marriages would fall after the season. Just like our New Years, this was also their time to show their public display of ethnic pride. Ethnic identity for many is confirmed and displayed especially through the teenage years. This celebration was a national trend moving towards using dress to express the identity of a shared group rather then being apart of a small subgroup. The Hmong Americans wanted to bond the two cultures together. 

Thursday, October 31, 2013

Dia De Los Muertos

Dia de los Muertos, also known as “Day of the Dead” is a two day national Mexican holiday that celebrates and remembers the death of loved ones. This holiday has a rich history that involves more then dressing up in costumes and going trick-or-treating. This is the countries largest celebration of the year, that is now celebrated in countries around the world well beyond Guatemala, Brazil, Spain, and Mexican-American communities in the United States. Dia de los Muertos is observed November 1st and 2nd . November 1st is used to honor the deceased youth known as Dia de Los Inocentes or Dia de los Angelitos also known as Day of the Little Angels. The adults for Dia de los Muertos are honored on November 2nd. In some other beliefs the Day of the Dead is a three-day holiday that begins on October 31st, when some believe the souls of young children arise at midnight on Halloween eve.

On Dia de los Muertos, families gather to celebrate and remember those who have passed on as well as build an altar in their homes to pay respect to the deceased. The dead are honored with sugar skulls, chocolate, marigolds which are the Mexican flower of death, sweetbreads and trinkets. Families also deliver ofrendas, or “offerings” to the grave sites of their relatives and hold vigils with candles along with photos.

Dia de los Muertos is traced all the way back to the Aztecs who celebrated with a festival for the goddess of the underworld known as, Mictecacihuatle, and the Catholic Spanish conquistadors “All Saints’ and All Souls’ days. Many Scholars have associated Dia de los Muertos with the native cultures of Mexico honoring the Lady of the Dead, the modern La Catrina which many recognize today as the skeleton woman wearing a fancy hat. According to the legend, La Catrina was a selfish, greedy rich woman who did nothing to help the poor. She is now mocked by many people every year by dressing in ornate garb, painting their faces white and detailing features to look like a caricature of a beautiful skeleton. 

Dia de los Muertos has become a modern phenomenon that influences the fashion world. We see the notorious sugar skulls portrayed through extravagant makeup. All different colors and designs are painted on the face to express the person's creativity. We see this makeup statement meshed with the Halloween tradition put into full on costumes! Ultimately, the root of the skull trend rooted from this tradition. Skulls are created within nail polish designs, clothes, accessories, and even shoes... Alexander McQueen being a prime example! Skulls are becoming more and more elaborate and detailed by the seasons!

Thursday, October 24, 2013

Ageism and the Politics of Beauty

Our article, discusses the struggles between age and beauty. Older women perceive aging to be a deficiency and not so pleasant stage of life. The reason they feel this way is  because men "have filled our minds  with an extensive literature and imagery of disgust, which includes a kind of voyeuristic fascination with what they see as the obscurity of female aging. Men's disgust for old women's bodies with its language of content (shriveled, sagging, dragging, wizened, ravaged, liver spots, crows feet, old bag etc) is so familiar to us that it feels like home." Being only human, we read into literature and take it  as it and relate it to the modern life. The fact of the matter is, aging is inevitable and we should not fear discontenting men, but more so, taking care of our bodies. Men are known to go for the "virginal inexperienced" type of gals to please merely their bodies. Old women take this to account that they are not needed nor wanted if they are infertile. 


The article goes into the argument that the older we get the more useless and irrelevant we are in society. This mindset can take a toll on a aging women's self-esteem and confidence. If one is told that are don't matter because of their age, they take it to account that their voice and their mind is also unimportant. "But most women find that the more our bodies are perceived as old, the more our minds are dismissed as irrelevant. And if we are more than our bodies, we also are our bodies." When we choose to live above the opinions and superficial, shallow people, we are our full selves; our bodies. Our bodies are just a physically portrayal of who we are, but it is our character that defines we are.

In the Fashion world, older women tend to dress unlike their age only because they think that is what is expected and attractive to the male figures. Older women should dress how they want to and what they feel comfortable in. When you try to dress for someone else, you lose yourself and not dressing for yourself. Aging is a natural part of life and should be embraced with open arms. 

Thursday, October 17, 2013

Northampton Confronts a Crime, Cruelty

This article accentuates the everyday issues involving hate crimes, teasing, and hazing. At a  high school in Northampton called Smith Vocational and Agricultural High School, Matthew Santoni a normal 15 year old student was a victim of bullying because of his eyeliner and earrings. His choice in style and image portrayed something different then every other ordinary high school student. Santoni got so fed up with the everyday taunting of his lifestyle that he allegedly stabbed Jeffrey LaMothe a 16 year old to death. This was Matthew's way of letting his feelings go since he was the type of person who kept all of his feelings bottled up inside.

This is not the only incident that has occurred in high schools, everyday something like this occurs starting from a young age in middle school. Today bullying is known as the number one killer for many middle school through high schoolers. Taunting and teasing have been in the high school culture and define the meaning of high school just as clearly as prom, geeks, and jocks does. Bullying is so common in todays society that in some ways it has become a lifestyle in our teenager years. Some people that get bullied are so used to it that they put up with the torture without trying to make a change and put a stop to every name calling tactic heard throughout the school hallways. 

Bullying is done sometimes for absolutely no reason at all, sometime it is just for the smallest reason of jealousy, the feeling of empowerment, or even just because. People who bully do not take the time to get to know their victim, they are simply just judging a book by its cover. Just because someone does not look like you on the outside doesn't mean they aren't just as sweet or even sweeter then you are. Dress comes into play because there is different subcultures and if you do not look like that specific subculture people automatically start judging you before they get to know you. For example, Lady GaGa who is admired by millions of people world wide gets bullied on a daily basis because of her unique style and image. So no matter how famous or how much money you have you are still going to get looked down upon for being different. This happens everyday, at every age, and in every country.

Thursday, September 26, 2013

Your Mother, Your Body

Within this article, we found a continuous pressure to be beautiful through your body. Rather than this pressure coming from our society, we see it more so through our mothers. A mother's nature since day one is to give their children nutrients through themselves. From breastfeeding to supplying their children with nutrients, it is their number one priority within motherhood to give the best form of health.


Depending on the mother's body image, it is reflected upon their daughter. For example, a heavy mother dresses her daughter in tight and body-hugging clothing to accentuate her body. She does this to, in a way, live vicariously through her daughters weight. This mother did not have the opportunity to wear flattering clothes because she had always been overweight. Another example we saw in the article was a grandmother telling her granddaughter to "suck it in" when she tried on a bathing suit. Her grandmother's words were instilled in the back of her head, leading to anorexia. This is just one of many ways an eating disorder is developed. Our mother's words mean the most to us because we trust their honesty. 

Thursday, September 19, 2013

True Colors

The Latin Kings
The Bloods
The Crips
The bloods and crips are immensely associated with the colors red and blue, but to avoid any interactions with the police both of the groups now play down their colors. The only times they do not do this is when they are at any type of ceremonial events like funerals where they opt to wear Tommy Hilfiger and Fubu. The Latin Kings from the East used to be seen wearing beads in the color scheme of the gang which is black and yellow, but lately in society today they have started hiding them in a pocket. The three dots that are tattooed onto the gang members bodies symbolize, "la vida loca" rarely are hidden and never go out of style. 

Comparing the concept of changing the gang's dress code to today, we see this through modern Fashion. When a trend initially starts, most stores don't start to carry the clothing until it is excessively overdone (Forever 21). The beginning stages is when it is very hard to find in stores, making it exclusive. We can see this through a gang's Fashion. Once their dress codes are exposed to the police or authorities, it changes abruptly to become inconspicuous.  

Thursday, September 12, 2013

The Enigma of Beauty

You know the famous saying, "Beauty is the eye of the beholder?" We see all people upholding beauty in a diverse way. "Perhaps we are truly human when we come to believe that beauty is not so much in the eye, as in the heart, of the beholder." Whether you're in Los Angeles or in Africa, beauty is a universal characteristic that everybody searches for and perceives differently. For example, us Femmes see beauty within the soul as well as eyes. As Fashion Marketing Majors, we can be perceived as being superficial and only finding beauty within materialism, but this is a false assumption. We find beauty within a person's heart rather than their new Giuseppe Zanotti shoes. 

Beauty is a feeling and not an object. A person is supposed to feel beautiful by being able to represent who they are as a person. You can't throw beauty on, therefore cannot be judged by it. Saying someone isn't beautiful is the same as saying somebody isn't happy, sad, or angry. You just can't define the feeling.